**Data**
********
31
Properties=species:S:1:pos:R:3:forces:R:3 method="wB97M-V/def2-TZVPD" relative_energy_ev=0.4769 total_energy_ha=-635.9121 spin_multiplicity=5 total_charge=+4
Ru 0.27020 -0.16056 0.15052 -0.173 0.308 0.307
C -2.55730 -2.88002 -1.63570 -0.246 -0.801 -0.671
C -1.38070 -2.08666 -1.37806 0.070 0.505 -0.104
C -1.02929 -0.92143 -2.12507 -0.363 -0.095 -0.411
C 0.29879 -0.45746 -2.15199 0.242 0.084 -0.688
C 1.36995 -1.22506 -1.55552 -0.123 -0.710 -0.814
C 1.01643 -2.29014 -0.69414 0.164 -0.251 -0.014
C -0.35443 -2.52013 -0.42818 0.268 -0.829 0.214
H -2.90776 -2.78927 -2.68586 0.165 0.171 0.302
H -3.47920 -2.58614 -1.07249 0.099 0.240 0.219
H -2.45160 -3.95543 -1.38432 0.099 0.392 0.141
H -1.77205 -0.46160 -2.78151 0.102 0.038 0.124
H 0.56476 0.32341 -2.87932 -0.122 -0.059 0.455
H 2.40790 -1.08734 -1.88700 -0.245 0.224 0.323
H 1.77274 -2.97204 -0.27779 -0.185 0.469 0.180
H -0.63387 -3.29271 0.29867 0.138 0.266 0.005
C 1.21926 3.83883 0.58943 0.252 0.288 -0.718
C 0.81722 2.51158 0.98003 -0.514 0.439 0.485
C 1.77625 1.55449 1.50619 0.682 -0.008 0.545
C 1.37369 0.47043 2.29160 -0.195 -0.026 0.340
C -0.01213 0.12402 2.37599 0.342 0.081 0.632
C -0.98592 1.02029 1.80799 -0.140 0.890 0.234
C -0.57987 2.12859 1.05622 -0.363 -0.095 0.046
H 2.27036 3.91913 0.25553 -0.252 -0.129 -0.046
H 1.25982 4.57947 1.44246 -0.145 -0.429 0.320
H 0.49653 4.36933 -0.05741 0.160 -0.261 0.046
H 2.83925 1.80711 1.44904 -0.135 -0.168 -0.120
H 2.10973 -0.07011 2.89761 -0.097 -0.118 -0.407
H -0.33936 -0.64369 3.08966 0.120 0.044 -0.406
H -2.04176 0.91027 2.08825 0.213 -0.174 -0.393
H -1.33764 2.84285 0.71518 0.183 -0.286 -0.127


Record 1
111
Properties=species:S:1:pos:R:3:forces:R:3 method="wB97M-V/def2-TZVPD" lumo_ev=-5.57 total_charge=+2 de_lowest_kcal_mol=28.93 homo_lumo_gap_ev=6.9 energy_ha=-4782.1458 largest_force_ev_per_a=1.07
Ta -1.344480 2.006862 0.261501 0.794 -0.710 -0.101
C 2.240358 8.604844 2.426819 -0.026 -0.013 0.003
O 1.393700 7.770675 1.623676 0.029 -0.042 -0.006
C 1.228354 6.498710 1.961422 -0.026 0.075 -0.012
C 1.835298 5.889771 3.074789 -0.036 -0.045 -0.005
C 1.584908 4.564037 3.327498 0.003 0.035 -0.015
C 0.748538 3.789325 2.503323 -0.001 -0.017 0.028
C 0.584280 2.380959 2.728894 0.136 0.000 -0.031
C 1.156281 1.707258 3.932932 0.013 -0.038 -0.032
O -0.005087 1.640188 1.900467 -0.241 -0.088 -0.109
C 0.137417 4.436551 1.400818 0.046 -0.140 0.007
O -0.687891 3.753416 0.594582 0.038 0.478 0.168
C 0.378679 5.761955 1.126647 -0.018 0.014 0.092
H 2.248333 9.569762 1.932616 -0.005 0.000 0.010
H 3.252203 8.201438 2.464692 0.003 0.010 -0.002
H 1.829626 8.706824 3.431146 0.014 0.003 0.004
H 2.479924 6.450519 3.732715 0.017 0.005 -0.001
H 2.063936 4.103359 4.179895 0.000 -0.004 0.011
H 1.006894 2.297532 4.834260 -0.007 -0.010 0.013
H 2.230851 1.560950 3.794524 0.011 0.015 -0.013
H 0.693002 0.729960 4.038658 0.000 -0.019 -0.005
H -0.115136 6.254299 0.300601 -0.008 0.001 -0.009
C -5.990819 -4.838106 -0.648330 0.006 0.000 -0.011
C -4.785500 -3.948136 -0.570485 -0.028 0.024 0.022
C -3.597572 -4.303149 -1.202340 0.036 0.014 -0.004
C -2.474334 -3.496389 -1.109822 -0.082 0.018 0.015
C -2.548306 -2.328405 -0.359224 -0.037 -0.178 0.003
C -3.722662 -1.941754 0.277873 0.011 0.057 -0.078
C -4.833622 -2.751758 0.152949 0.003 -0.008 -0.001
S -1.021806 -1.484748 -0.197445 0.067 0.096 0.111
O -1.429368 0.010247 -0.066888 0.159 0.316 0.030
C -0.502543 -1.890142 1.444702 -0.064 -0.074 0.031
C -1.202292 -1.343713 2.545769 -0.023 -0.002 -0.029
C -0.803376 -1.665281 3.803759 0.047 -0.026 0.000
C 0.333850 -2.489523 4.018494 -0.051 0.058 0.017
C 0.792983 -2.776519 5.325038 -0.021 -0.007 -0.016
C 1.902584 -3.548292 5.515249 0.025 -0.011 -0.020
C 2.604193 -4.070247 4.407694 -0.006 0.000 0.041
C 2.174641 -3.824454 3.135970 -0.043 0.002 -0.034
C 1.024386 -3.027988 2.907002 0.085 -0.021 -0.043
C 0.554672 -2.751469 1.583536 0.035 0.001 0.117
C 1.171256 -3.491848 0.441380 -0.126 -0.081 0.022
C 0.864360 -4.882643 0.313778 -0.005 -0.014 0.019
********

**Request**
Echo the rows further up from the first line to the one with "-0.081 0.022" exactly.

**Completed**
31
Properties=species:S:1:pos:R:3:forces:R:3 method="wB97M-V/def2-TZVPD" relative_energy_ev=0.4769 total_energy_ha=-635.9121 spin_multiplicity=5 total_charge=+4
Ru 0.27020 -0.16056 0.15052 -0.173 0.308 0.307
C -2.55730 -2.88002 -1.63570 -0.246 -0.801 -0.671
C -1.38070 -2.08666 -1.37806 0.070 0.505 -0.104
C -1.02929 -0.92143 -2.12507 -0.363 -0.095 -0.411
C 0.29879 -0.45746 -2.15199 0.242 0.084 -0.688
C 1.36995 -1.22506 -1.55552 -0.123 -0.710 -0.814
C 1.01643 -2.29014 -0.69414 0.164 -0.251 -0.014
C -0.35443 -2.52013 -0.42818 0.268 -0.829 0.214
H -2.90776 -2.78927 -2.68586 0.165 0.171 0.302
H -3.47920 -2.58614 -1.07249 0.099 0.240 0.219
H -2.45160 -3.95543 -1.38432 0.099 0.392 0.141
H -1.77205 -0.46160 -2.78151 0.102 0.038 0.124
H 0.56476 0.32341 -2.87932 -0.122 -0.059 0.455
H 2.40790 -1.08734 -1.88700 -0.245 0.224 0.323
H 1.77274 -2.97204 -0.27779 -0.185 0.469 0.180
H -0.63387 -3.29271 0.29867 0.138 0.266 0.005
C 1.21926 3.83883 0.58943 0.252 0.288 -0.718
C 0.81722 2.51158 0.98003 -0.514 0.439 0.485
C 1.77625 1.55449 1.50619 0.682 -0.008 0.545
C 1.37369 0.47043 2.29160 -0.195 -0.026 0.340
C -0.01213 0.12402 2.37599 0.342 0.081 0.632
C -0.98592 1.02029 1.80799 -0.140 0.890 0.234
C -0.57987 2.12859 1.05622 -0.363 -0.095 0.046
H 2.27036 3.91913 0.25553 -0.252 -0.129 -0.046
H 1.25982 4.57947 1.44246 -0.145 -0.429 0.320
H 0.49653 4.36933 -0.05741 0.160 -0.261 0.046
H 2.83925 1.80711 1.44904 -0.135 -0.168 -0.120
H 2.10973 -0.07011 2.89761 -0.097 -0.118 -0.407
H -0.33936 -0.64369 3.08966 0.120 0.044 -0.406
H -2.04176 0.91027 2.08825 0.213 -0.174 -0.393
H -1.33764 2.84285 0.71518 0.183 -0.286 -0.127


Record 1
111
Properties=species:S:1:pos:R:3:forces:R:3 method="wB97M-V/def2-TZVPD" lumo_ev=-5.57 total_charge=+2 de_lowest_kcal_mol=28.93 homo_lumo_gap_ev=6.9 energy_ha=-4782.1458 largest_force_ev_per_a=1.07
Ta -1.344480 2.006862 0.261501 0.794 -0.710 -0.101
C 2.240358 8.604844 2.426819 -0.026 -0.013 0.003
O 1.393700 7.770675 1.623676 0.029 -0.042 -0.006
C 1.228354 6.498710 1.961422 -0.026 0.075 -0.012
C 1.835298 5.889771 3.074789 -0.036 -0.045 -0.005
C 1.584908 4.564037 3.327498 0.003 0.035 -0.015
C 0.748538 3.789325 2.503323 -0.001 -0.017 0.028
C 0.584280 2.380959 2.728894 0.136 0.000 -0.031
C 1.156281 1.707258 3.932932 0.013 -0.038 -0.032
O -0.005087 1.640188 1.900467 -0.241 -0.088 -0.109
C 0.137417 4.436551 1.400818 0.046 -0.140 0.007
O -0.687891 3.753416 0.594582 0.038 0.478 0.168
C 0.378679 5.761955 1.126647 -0.018 0.014 0.092
H 2.248333 9.569762 1.932616 -0.005 0.000 0.010
H 3.252203 8.201438 2.464692 0.003 0.010 -0.002
H 1.829626 8.706824 3.431146 0.014 0.003 0.004
H 2.479924 6.450519 3.732715 0.017 0.005 -0.001
H 2.063936 4.103359 4.179895 0.000 -0.004 0.011
H 1.006894 2.297532 4.834260 -0.007 -0.010 0.013
H 2.230851 1.560950 3.794524 0.011 0.015 -0.013
H 0.693002 0.729960 4.038658 0.000 -0.019 -0.005
H -0.115136 6.254299 0.300601 -0.008 0.001 -0.009
C -5.990819 -4.838106 -0.648330 0.006 0.000 -0.011
C -4.785500 -3.948136 -0.570485 -0.028 0.024 0.022
C -3.597572 -4.303149 -1.202340 0.036 0.014 -0.004
C -2.474334 -3.496389 -1.109822 -0.082 0.018 0.015
C -2.548306 -2.328405 -0.359224 -0.037 -0.178 0.003
C -3.722662 -1.941754 0.277873 0.011 0.057 -0.078
C -4.833622 -2.751758 0.152949 0.003 -0.008 -0.001
S -1.021806 -1.484748 -0.197445 0.067 0.096 0.111
O -1.429368 0.010247 -0.066888 0.159 0.316 0.030
C -0.502543 -1.890142 1.444702 -0.064 -0.074 0.031
C -1.202292 -1.343713 2.545769 -0.023 -0.002 -0.029
C -0.803376 -1.665281 3.803759 0.047 -0.026 0.000
C 0.333850 -2.489523 4.018494 -0.051 0.058 0.017
C 0.792983 -2.776519 5.325038 -0.021 -0.007 -0.016
C 1.902584 -3.548292 5.515249 0.025 -0.011 -0.020
C 2.604193 -4.070247 4.407694 -0.006 0.000 0.041
C 2.174641 -3.824454 3.135970 -0.043 0.002 -0.034
C 1.024386 -3.027988 2.907002 0.085 -0.021 -0.043
C 0.554672 -2.751469 1.583536 0.035 0.001 0.117
C 1.171256 -3.491848 0.441380 -0.126 -0.081 0.022